The founder of The Face Place MedSpa has been dealing with more than the usual level of challenges during lockdown - but staying relentlessly positive.
Where are you on lockdown and who are you with?
I have a beautiful house in Ponsonby, right on a park, where I live with my two female flatmates. One of my flatties has been spending Level 4 with her new boyfriend, so it’s just me and Shareen – and the teddy bears we’ve popped in the windows!
How are you all doing? Do you need any help from the outside world?
We’re doing pretty well, staying positive, and looking at how we can use this time to get healthier, fitter and mentally stronger. We’ve downloaded Gaia, Mindvalley and Les Mills On Demand, I’m tapping into online yoga and qi gong - my faves are YoQi on YouTube, and Escape Haven’s Class Pass. We are eating healthy meals from my recipe book ‘Grow Younger With Great Food’, taking our supplements, walking in nature, and doing green juices every day! I have been attending radiotherapy treatments the last couple of weeks (only a week to go!) and started the hormone blocking medication Tamoxifen as I had breast cancer surgery on 28 February. Other than that, we are pretty set up!
Are you still working, and if so, how?
Yes, as CEO of a business with over 25 full-time employees it’s been a very busy month! We had already made the decision to close the clinic just before Jacinda announced the L4 lockdown, as our priority is the safety of our clients and team. We have kept our whole team busy with meetings, webinars and ongoing training, and are really excited to be offering virtual consults from next week! Our new virtual consults will be available for skin, sexual rejuvenation and injectable treatments, allowing us to provide you with information about your options, education about the different treatments and complete the necessary paperwork such as consent forms, meaning safer shorter appointment times (focused just on your treatments) when we reopen our face-to-face business at Level 2.
At level 3, it’s now appropriate for us to provide online skincare orders, which can also be supported by our virtual skin consults if you have any questions or concerns with your ‘lockdown skin’. Keep an eye out here.
Watch this space for some exciting new developments! We are renowned for leading the industry with innovations, and will hopefully have some game-changers to launch once we reopen!
What will this situation mean for your business, and how can the community can support it now, or when a little more normalcy returns?
Like many businesses, we have had zero revenue for the last month in Level 4, however we have not been idle. Our team has focused on training and upskilling, as well as coming up with new and innovative ideas so that when we reopen for Level 2, we have so much more to offer our new and existing patients. It will be a different way of practising to what we are all used to, so we have been preparing to make it as safe, easy and low contact - but still high quality and high care - as possible.
We’re excited for Level 3 next week which means we can finally ship our medical grade skin products! We are taking orders now, so go to our webstore if you need to top up your skin products! If you have specific skin concerns, or if you want to order Vitamin A products, you will need to book a virtual skin consult with one of our team to ensure these highly active products are introduced in the best possible way to your skin, in order to minimise the risk of a skin reaction.
Once we reopen, we will be flooded with a backlog of appointments, so we ask for your patience with a waiting list for appointments. We are exploring ways to organise priority bookings for those who want them - we would love to see all of you who feel like the stress, fear and worry has aged you or affected your confidence!
What are the main things you’re doing to stay occupied/positive?
It’s actually been really busy! We’ve been really proactive with some new and exciting ideas I can’t wait to launch. When this all started, I put my hand up to work on the Covid frontline if needed, as we were expecting the health care system to be flooded. I’m so proud of NZ that the early and drastic Level 4 lockdown prevented us from the horrific scenarios experienced overseas in Europe, China and the US. I’m also secretly a little bit happy that I could focus on improving what we offer to our clients, rather having to look after dead, sick or dying people - which I always found heartbreaking when I did hospital medicine.
My flattie and I have essentially been in a ‘Home Health Camp’, with a great daily routine to keep improving our health and resilience, so we come out of this experience even better than before. Early morning meditation, yoga/dance/qigong/body balance, a morning walk, taking supplements, green smoothies, morning meetings with my team, fasting until lunchtime, healthy food, working in the afternoons, radiotherapy, a bit of evening work, personal growth videos, reading and chatting with friends at night, and healthy amounts of sleep! My aim for the lockdown period for me personally, for our team, and for our business is to not just survive - but thrive!
What are you finding to be the biggest challenge and how are you handling it?
I miss hugs! As a social creature I find I need to connect with people regularly. I love my alone time if I can still connect with people on the daily. Regular virtual meetings with my team helps (and also gives me purpose), as well as connecting with friends around the world for virtual dinners, Friday night drinks, and my favourite - I did a ‘morning rave’ on Sunday with friends of mine in Palma who had a Saturday night dance party with a DJ!
Do you have a project or lifestyle change that you’re planning to get underway in this time?
I live a pretty healthy lifestyle normally, but our ‘home health camp’ has just kicked it up a level! My main project has been looking at new and exciting innovations for the business, and putting the logistics in place for those. I feel very blessed to have such an incredible team who have really looked at this time as an opportunity to grow, develop, up skill and think outside the square!
What’s your favourite home beauty treatment or habit?
Without the in clinic treatments, I know it’s even more important for me to be using my homecare skin products properly, to maintain the health or glow of my skin. Our team has created a private VIP Skin Care Facebook group for our existing skin clients where our Skin team answer their questions... I’ve been enjoying some of the discussion on how to maximise your ‘lockdown skin products’ on the chat in that!
Your recommendations
A book to read I’ve just read both ‘ The Tattooist of Auschwitz’ and ‘Cilka’s Journey’ – related books by the same author. It really reminds us of the resilience of humans and what we can survive through, and makes what we are currently experiencing not seem quite as challenging.
(These calculated crystals were left in the text by mistake)
<<<
No. 1
{
  "formula": "Pr3Tm4Cd",
  "functional": "GGA-PBE",
  "state": "relaxed",
  "dft_energy_ev_per_atom": -4.206,
  "lattice_angstrom": [[3.612, 0.000, 0.000], [0.000, 3.612, 0.000], [0.000, 0.000, 19.104]],
  "species": ["Pr", "Pr", "Pr", "Tm", "Tm", "Tm", "Tm", "Cd"],
  "fractional_positions": [[0.000, 0.000, 0.000], [0.000, 0.000, 0.265], [0.000, 0.000, 0.735], [0.500, 0.500, 0.132], [0.500, 0.500, 0.397], [0.500, 0.500, 0.603], [0.500, 0.500, 0.868], [0.000, 0.000, 0.500]]
}

***

No. 2
{
  "formula": "Fe3Ir3Rh",
  "functional": "GGA-PBE",
  "state": "relaxed",
  "dft_energy_ev_per_atom": -8.485,
  "lattice_angstrom": [[7.082, 0.000, 0.000], [-3.541, 6.134, 0.000], [0.000, 0.000, 4.287]],
  "species": ["Fe", "Fe", "Fe", "Fe", "Fe", "Fe", "Ir", "Ir", "Ir", "Ir", "Ir", "Ir", "Rh", "Rh"],
  "fractional_positions": [[0.093, 0.473, 0.250], [0.380, 0.907, 0.250], [0.473, 0.380, 0.750], [0.527, 0.620, 0.250], [0.620, 0.093, 0.750], [0.907, 0.527, 0.750], [0.041, 0.245, 0.750], [0.204, 0.959, 0.750], [0.245, 0.204, 0.250], [0.755, 0.796, 0.750], [0.796, 0.041, 0.250], [0.959, 0.755, 0.250], [0.333, 0.667, 0.750], [0.667, 0.333, 0.250]]
}

***

No. 3
{
  "formula": "GaTe2NO",
  "functional": "GGA-PBE",
  "state": "relaxed",
  "dft_energy_ev_per_atom": -3.508,
  "e_form_raw_mev_per_atom": 1010,
  "lattice_angstrom": [[4.703, 0.000, 0.000], [0.000, 4.703, 0.000], [0.000, 0.000, 4.072]],
  "species": ["Ga", "Te", "Te", "N", "O"],
  "fractional_positions": [[0.000, 0.000, 0.000], [0.000, 0.500, 0.500], [0.500, 0.000, 0.500], [0.500, 0.500, 0.000], [0.500, 0.500, 0.500]]
}

***

No. 4
{
  "formula": "TiV3As",
  "functional": "GGA-PBE",
  "state": "relaxed",
  "dft_energy_ev_per_atom": -8.258,
  "lattice_angstrom": [[8.377, 0.000, 0.000], [0.000, 3.226, 0.000], [0.000, 0.000, 10.990]],
  "species": ["Ti", "Ti", "Ti", "Ti", "V", "V", "V", "V", "V", "V", "V", "V", "V", "V", "V", "V", "As", "As", "As", "As"],
  "fractional_positions": [[0.148, 0.250, 0.007], [0.352, 0.750, 0.507], [0.648, 0.250, 0.493], [0.852, 0.750, 0.993], [0.061, 0.250, 0.410], [0.085, 0.750, 0.230], [0.156, 0.750, 0.799], [0.344, 0.250, 0.299], [0.415, 0.250, 0.730], [0.439, 0.750, 0.910], [0.561, 0.250, 0.090], [0.585, 0.750, 0.270], [0.656, 0.750, 0.701], [0.844, 0.250, 0.201], [0.915, 0.250, 0.770], [0.939, 0.750, 0.590], [0.158, 0.250, 0.625], [0.342, 0.750, 0.125], [0.658, 0.250, 0.875], [0.842, 0.750, 0.375]]
}

***

No. 5
{
  "formula": "NbHg3Pt",
  "functional": "GGA-PBE",
  "state": "relaxed",
  "dft_energy_ev_per_atom": -2.050,
  "lattice_angstrom": [[5.322, 0.000, 0.000], [0.000, 5.322, 0.000], [0.000, 0.000, 5.322]],
  "species": ["Nb", "Hg", "Hg", "Hg", "Pt"],
  "fractional_positions": [[0.000, 0.000, 0.000], [0.000, 0.000, 0.500], [0.000, 0.500, 0.000], [0.500, 0.000, 0.000], [0.500, 0.500, 0.500]]
}

***

No. 6
{
  "formula": "YSi2Ag6",
  "functional": "GGA-PBE",
  "state": "relaxed",
  "dft_energy_ev_per_atom": -4.005,
  "e_form_raw_mev_per_atom": -181,
>>>
A site to visit Escape Haven’s 6 week retreat, class pass and free mini-retreat- A slice of luxury Bali retreat in your living room! So proud of my friend Janine Hall who launched these as a world first ‘virtual retreat’ - look them up on IG @escapehaven